• Wanted:
Your job: transcribe only the lines further down with the word "SmNiSb3" in them.

• Given:
- - -
Entry 1:
VASP calculation (r²SCAN) on a geometry-optimized NiSb3 structure.

## Properties
The value obtained for the energy relative to the elements is -126 meV/atom. The uncorrected energy is -22.4009 eV per atom.

The structure in CIF format:
```
data_NiSb3
_symmetry_space_group_name_H-M 'I m -3'
_symmetry_Int_Tables_number 204
_symmetry_space_group_name_Hall '-I 2 2 3'
_cell_length_a 9.185
_cell_length_b 9.185
_cell_length_c 9.185
_cell_angle_alpha 90.00
_cell_angle_beta 90.00
_cell_angle_gamma 90.00
loop_
_atom_site_label
_atom_site_fract_x
_atom_site_fract_y
_atom_site_fract_z
_atom_site_occupancy
Ni1 0.250 0.250 0.250 1
Sb1 0.000 0.159 0.337 1
```

Entry 2:
VASP calculation (r²SCAN) on a geometry-optimized SmNiSb2 structure.

## Properties
The value obtained for the energy relative to the elements is -787 meV/atom. The uncorrected energy is -24.0691 eV per atom.

The structure in CIF format:
```
data_SmNiSb2
_symmetry_space_group_name_H-M 'P 4/n m m'
_symmetry_Int_Tables_number 129
_cell_length_a 4.371
_cell_length_b 4.371
_cell_length_c 9.627
_cell_angle_alpha 90.00
_cell_angle_beta 90.00
_cell_angle_gamma 90.00
loop_
_symmetry_equiv_pos_as_xyz
'x,y,z'
'-x,-y,-z'
'-y+1/2,x,z'
'y+1/2,-x,-z'
'-x+1/2,-y+1/2,z'
'x+1/2,y+1/2,-z'
'y,-x+1/2,z'
'-y,x+1/2,-z'
'x+1/2,-y,-z'
'-x+1/2,y,z'
'-y,-x,-z'
'y,x,z'
'-x,y+1/2,-z'
'x,-y+1/2,z'
'y+1/2,x+1/2,-z'
'-y+1/2,-x+1/2,z'
loop_
_atom_site_label
_atom_site_fract_x
_atom_site_fract_y
_atom_site_fract_z
_atom_site_occupancy
Sm1 0.250 0.250 0.241 1
Ni1 0.250 0.750 0.000 1
Sb1 0.250 0.250 0.867 1
Sb2 0.250 0.750 0.500 1
```

Entry 3:
VASP calculation (r²SCAN) on a geometry-optimized SmNiSb3 structure.

## Properties
The value obtained for the energy relative to the elements is -668 meV/atom. The uncorrected energy is -24.4343 eV per atom.

The structure in CIF format:
```
data_SmNiSb3
_symmetry_space_group_name_H-M 'P b c m'
_symmetry_Int_Tables_number 57
_symmetry_space_group_name_Hall '-P 2c 2b'
_cell_length_a 12.586
_cell_length_b 6.222
_cell_length_c 18.273
_cell_angle_alpha 90.00
_cell_angle_beta 90.00
_cell_angle_gamma 90.00
loop_
_atom_site_label
_atom_site_fract_x
_atom_site_fract_y
_atom_site_fract_z
_atom_site_occupancy
Sm1 0.194 0.060 0.250 1
Sm2 0.200 0.527 0.084 1
Ni1 0.398 0.250 0.000 1
Ni2 0.402 0.674 0.676 1
Sb1 0.003 0.250 0.000 1
Sb2 0.003 0.706 0.666 1
Sb3 0.274 0.027 0.084 1
Sb4 0.278 0.554 0.250 1
Sb5 0.442 0.183 0.250 1
Sb6 0.474 0.541 0.087 1
```

Entry 4:
VASP calculation (r²SCAN) on a geometry-optimized SrNi2Sb2 structure.

## Properties
The value obtained for the energy relative to the elements is -551 meV/atom. The uncorrected energy is -18.6549 eV per atom.

The structure in CIF format:
```
data_SrNi2Sb2
_symmetry_space_group_name_H-M 'I 4/m m m'
_symmetry_Int_Tables_number 139
_symmetry_space_group_name_Hall '-I 4 2'
_cell_length_a 4.425
_cell_length_b 4.425
_cell_length_c 10.845
_cell_angle_alpha 90.00
_cell_angle_beta 90.00
_cell_angle_gamma 90.00
loop_
_atom_site_label
_atom_site_fract_x
_atom_site_fract_y
_atom_site_fract_z
_atom_site_occupancy
Sr1 0.000 0.000 0.000 1
Ni1 0.000 0.500 0.250 1
Sb1 0.000 0.000 0.359 1
```

Entry 5:
VASP calculation (r²SCAN) on a geometry-optimized TbNiSb structure.

## Properties
The value obtained for the energy relative to the elements is -1003 meV/atom. The uncorrected energy is -23.9742 eV per atom.

The structure in CIF format:
```
data_TbNiSb
_symmetry_space_group_name_H-M 'F -4 3 m'
_symmetry_Int_Tables_number 216
_symmetry_space_group_name_Hall 'F -4 2 3'
_cell_length_a 6.334
_cell_length_b 6.334
_cell_length_c 6.334
_cell_angle_alpha 90.00
_cell_angle_beta 90.00
_cell_angle_gamma 90.00
loop_
_atom_site_label
_atom_site_fract_x
_atom_site_fract_y
_atom_site_fract_z
_atom_site_occupancy
Tb1 0.000 0.000 0.000 1
Ni1 0.250 0.250 0.750 1
Sb1 0.000 0.000 0.500 1
```

Entry 6:
VASP calculation (r²SCAN) on a geometry-optimized TiNiSb structure.

## Properties
- - -

• Result:
VASP calculation (r²SCAN) on a geometry-optimized SmNiSb3 structure.